(Input)
/*
The following is a computed powder X-ray diffraction pattern of Sc12SiNi6. It was derived from the GGA-PBE geometry in Alexandria, using copper Kα.
Peak positions follow from Bragg's law for the DFT cell and can differ from measured ones.

Crystal structure
Cell: 7.7594 7.7594 7.7594 Å, 109.47 109.47 109.47°
Positions (direct):
Sc (0.1078, 0.2945, 0.8133)
Sc (0.1867, 0.4811, 0.2945)
Sc (0.1867, 0.8922, 0.7055)
Sc (0.2945, 0.1867, 0.4811)
Sc (0.2945, 0.8133, 0.1078)
Sc (0.4811, 0.2945, 0.1867)
Sc (0.5189, 0.7055, 0.8133)
Sc (0.7055, 0.1867, 0.8922)
Sc (0.7055, 0.8133, 0.5189)
Sc (0.8133, 0.1078, 0.2945)
Sc (0.8133, 0.5189, 0.7055)
Sc (0.8922, 0.7055, 0.1867)
Si (0.0000, 0.0000, 0.0000)
Ni (0.1332, 0.5000, 0.6332)
Ni (0.3668, 0.8668, 0.5000)
Ni (0.5000, 0.3668, 0.8668)
Ni (0.5000, 0.6332, 0.1332)
Ni (0.6332, 0.1332, 0.5000)
Ni (0.8668, 0.5000, 0.3668)

The 10 most intense peaks (2θ = 5–70°), low angle first:
| 2θ (°) | Rel. int. |
| --- | --- |
| 13.98 | 204 |
| 19.82 | 149 |
| 34.68 | 141 |
| 37.56 | 1000 |
| 40.26 | 125 |
| 42.82 | 150 |
| 52.05 | 261 |
| 60.23 | 71 |
| 62.16 | 142 |
| 64.07 | 145 |



The following is a computed powder X-ray diffraction pattern of KSrI. It was derived from the GGA-PBE geometry in Alexandria, using copper Kα.
Peak positions follow from Bragg's law for the DFT cell and can differ from measured ones.

Crystal structure
Cell: 17.1852 4.4856 4.4856 Å, 59.98 90.00 90.00°
Positions (direct):
K (0.2149, 0.0000, 0.0000)
K (0.7851, 0.0000, 0.0000)
Sr (0.0000, 0.6681, 0.6681)
Sr (0.5000, 0.9992, 0.9992)
I (0.3715, 0.6660, 0.6660)
I (0.6285, 0.6660, 0.6660)

The 10 most intense peaks (2θ = 5–70°), low angle first:
| 2θ (°) | Rel. int. |
| --- | --- |
| 5.14 | 1000 |
| 22.90 | 424 |
| 27.75 | 817 |
| 31.04 | 310 |
| 34.86 | 212 |
| 40.21 | 284 |
| 48.44 | 185 |
| 49.56 | 159 |
| 59.60 | 115 |
| 65.65 | 134 |



The following is a computed powder X-ray diffraction pattern of Rb3Tl5Pt2. It was derived from the GGA-PBE geometry in Alexandria, using copper Kα.
Peak positions follow from Bragg's law for the DFT cell and can differ from measured ones.

Crystal structure
Cell: 10.2908 10.2908 10.2908 Å, 115.66 84.20 131.92°
Positions (direct):
Rb (0.1437, 0.2461, 0.3898)
Rb (0.2500, 0.2500, 0.0000)
Rb (0.3563, 0.7461, 0.1023)
Rb (0.6437, 0.2539, 0.8977)
Rb (0.7500, 0.7500, 0.0000)
Rb (0.8563, 0.7539, 0.6102)
Tl (0.0151, 0.7500, 0.2651)
Tl (0.1032, 0.6762, 0.7794)
Tl (0.2500, 0.7500, 0.5000)
Tl (0.3968, 0.1762, 0.5729)
Tl (0.4849, 0.7500, 0.7349)
Tl (0.5151, 0.2500, 0.2651)
Tl (0.6032, 0.8238, 0.4271)
Tl (0.7500, 0.2500, 0.5000)
Tl (0.8968, 0.3238, 0.2206)
Tl (0.9849, 0.2500, 0.7349)
Pt (0.1704, 0.9063, 0.0768)
Pt (0.3296, 0.4063, 0.7359)
Pt (0.6704, 0.5937, 0.2641)
Pt (0.8296, 0.0937, 0.9232)

The 10 most intense peaks (2θ = 5–70°), low angle first:
| 2θ (°) | Rel. int. |
| --- | --- |
| 16.18 | 254 |
| 17.67 | 584 |
| 26.77 | 810 |
| 28.50 | 698 |
| 29.12 | 252 |
| 31.70 | 1000 |
| 37.34 | 331 |
| 39.28 | 263 |
| 43.16 | 338 |
| 52.53 | 258 |



The following is a computed powder X-ray diffraction pattern of AcLa4TbPm2. It was derived from the GGA-PBE geometry in Alexandria, using copper Kα.
Peak positions follow from Bragg's law for the DFT cell and can differ from measured ones.

Crystal structure
Cell: 6.4415 6.4415 10.6040 Å, 114.30 114.30 48.31°
Positions (direct):
Ac (0.0000, 0.0000, 0.0000)
La (0.2466, 0.2466, 0.8694)
La (0.2515, 0.2515, 0.3782)
La (0.7485, 0.7485, 0.6218)
La (0.7534, 0.7534, 0.1306)
Tb (0.0000, 0.0000, 0.5000)
Pm (0.4988, 0.4988, 0.2558)
Pm (0.5012, 0.5012, 0.7442)

The 10 most intense peaks (2θ = 5–70°), low angle first:
| 2θ (°) | Rel. int. |
| --- | --- |
| 29.34 | 1000 |
| 33.81 | 171 |
| 34.01 | 170 |
| 34.19 | 167 |
| 48.72 | 123 |
| 48.99 | 122 |
| 57.76 | 147 |
| 58.02 | 147 |
| 58.25 | 145 |
| 60.86 | 126 |


# HoZrCuPt
Theoretical XRD peak list, a wavelength of 1.5418 Å. Input: DFT lattice parameters and positions (PBE).
*/

(Wanted)
What is needed: print only the lines further up with the word "list" in them.

(Completed)
Theoretical XRD peak list, a wavelength of 1.5418 Å. Input: DFT lattice parameters and positions (PBE).